What Is Procrastination?
According to the Cambridge Dictionary, the definition of procrastination is, “the act of delaying something that must be done, often because it is unpleasant or boring.” If you have ever put off a task because you did not want to do it, chances are, you were procrastinating. Maybe you needed to study for an important test or go to the gym. Instead of tackling it head-on, you decided to watch a movie, take a nap, or go out with friends.
Procrastination can affect people in all areas of life. Someone might delay going places or making important decisions. Others, avoid situations or opportunities that scare them, hide from rejection, or ignore financial issues.
Many people try to define procrastination as someone just “being lazy.” But it is important to note that it is often more complex than that. Procrastination can happen when someone is trying to escape something unpleasant. The thing they are trying to avoid might be physically, mentally, or emotionally uncomfortable, or challenging or inconvenient in some way.
When Is Procrastination A Problem?
Everyone procrastinates at one time or another. It is an easy pattern to fall into. Typically procrastination does not have any serious effects, although it might be difficult to finish the original task well with a shorter amount of time to do so. That being said, procrastination can have serious consequences. Chronic procrastination can affect the following areas of your life.
In Your Job
**Next to the entry, the page also holds calculated crystals**
- - -
## LaY2 (PBE)

Data for a relaxed LaY2 crystal.

Calculated values
Theoretical density in g/cm³: 5.16
Space-group type: P-62m (189)
Formation energy in meV/atom: 57
Size of the total moment in μB per cell: 0.0
E above lowest polymorph in meV per atom: 42

Lattice parameters (Å, degrees): 9.900 9.900 3.602 90.00 90.00 120.00
Sites, in units of the cell vectors:
La (0.000, 0.000, 0.000)
La (0.333, 0.667, 0.500)
La (0.667, 0.333, 0.500)
Y (0.000, 0.310, 0.500)
Y (0.000, 0.648, 0.000)
Y (0.310, 0.000, 0.500)
Y (0.352, 0.352, 0.000)
Y (0.648, 0.000, 0.000)
Y (0.690, 0.690, 0.500)



## LaY2 (PBE)

Data for a relaxed LaY2 crystal.

Calculated values
Theoretical density in g/cm³: 5.10
Space-group type: C2/m (12)
Formation energy in meV/atom: 23
Size of the total moment in μB per cell: 0.0
E above lowest polymorph in meV per atom: 8

Lattice parameters (Å, degrees): 6.886 6.886 8.616 103.02 103.02 31.25
Sites, in units of the cell vectors:
La (0.026, 0.026, 0.303)
La (0.974, 0.974, 0.697)
Y (0.303, 0.303, 0.360)
Y (0.357, 0.357, 0.973)
Y (0.643, 0.643, 0.027)
Y (0.697, 0.697, 0.640)



## La2Y17 (PBE)

Data for a relaxed La2Y17 crystal.

Calculated values
Theoretical density in g/cm³: 4.47
Space-group type: R-3m (166)
Formation energy in meV/atom: 273
Size of the total moment in μB per cell: 2.8

Lattice parameters (Å, degrees): 8.826 8.826 8.826 80.91 80.91 80.91
Sites, in units of the cell vectors:
La (0.170, 0.170, 0.170)
La (0.830, 0.830, 0.830)
Y (0.000, 0.500, 0.500)
Y (0.136, 0.136, 0.650)
Y (0.136, 0.650, 0.136)
Y (0.202, 0.500, 0.798)
Y (0.202, 0.798, 0.500)
Y (0.350, 0.864, 0.864)
Y (0.401, 0.401, 0.401)
Y (0.500, 0.000, 0.500)
Y (0.500, 0.202, 0.798)
Y (0.500, 0.500, 0.000)
Y (0.500, 0.798, 0.202)
Y (0.599, 0.599, 0.599)
Y (0.650, 0.136, 0.136)
Y (0.798, 0.202, 0.500)
Y (0.798, 0.500, 0.202)
Y (0.864, 0.350, 0.864)
Y (0.864, 0.864, 0.350)



## La4Y3 (PBE)

Data for a relaxed La4Y3 crystal.

Calculated values
Theoretical density in g/cm³: 5.40
Space-group type: P6/mmm (191)
Formation energy in meV/atom: 236
Size of the total moment in μB per cell: 0.0
E above lowest polymorph in meV per atom: 211

Lattice parameters (Å, degrees): 6.544 6.544 6.817 90.00 90.00 120.00
Sites, in units of the cell vectors:
La (0.000, 0.000, 0.220)
La (0.000, 0.000, 0.780)
La (0.333, 0.667, 0.000)
La (0.667, 0.333, 0.000)
Y (0.000, 0.500, 0.500)
Y (0.500, 0.000, 0.500)
Y (0.500, 0.500, 0.500)



## LaY3 (PBE)

Data for a relaxed LaY3 crystal.

Calculated values
Theoretical density in g/cm³: 5.06
Space-group type: Cmmm (65)
Formation energy in meV/atom: 18
Size of the total moment in μB per cell: 0.0

Lattice parameters (Å, degrees): 6.213 6.213 3.638 90.00 90.00 108.72
Sites, in units of the cell vectors:
La (0.000, 0.000, 0.000)
Y (0.000, 0.500, 0.500)
Y (0.500, 0.000, 0.500)
Y (0.500, 0.500, 0.000)



## LaY4 (PBE)

Data for a relaxed LaY4 crystal.

Calculated values
Theoretical density in g/cm³: 4.60
Space-group type: Pm-3m (221)
- - -
It is likely a major part of your career relies on time management and quality of work. If you procrastinate often, your time management skills will seriously suffer, potentially resulting in poor performance at your job. If this issue becomes a habitual problem, you might be looking at formal discipline, up to and including, termination.
In Your Relationships
If you avoid taking relationships to the next level, it will be harder to make them last. By adulthood, most partnerships happen because there is a potential for marriage, a family, and a home together. If these commitments scare you, causing you to delay them time and time again, it will be almost impossible to make it work with a significant other who wants these things.
In Your Goals
Sometimes when it comes to opportunities in life, like getting a new job or going to college, certain deadlines and obligations will need to happen to move forward with the process. If procrastination is a serious issue for you, you might fail to meet these steps, forgoing the chance to better yourself in the future.
Likewise, if there is something you want in life, that you believe you cannot or will not achieve, procrastination will only make it less likely that it will happen. Instead of actively working toward your goal, you will find ways to avoid taking the first steps.
Signs You Procrastinate
Often the signs of procrastination are subtle. It is pretty easy to assume the opposite of procrastination is working in a timely, attentive, and organized manner. Therefore, you might often be procrastinating if you are not doing so, or if you are guilty of the following:
You Prioritize Lesser Tasks
+++
Record 1
# BaAl2Ag3

A geometry-optimized BaAl2Ag3 structure (PBE-GGA, Alexandria via LeMat-Bulk).

Its crystal system is orthorhombic. The space group is Cmcm.

a = 7.1169 Å, b = 7.1169 Å, c = 5.5873 Å
α = 90.00°, β = 90.00°, γ = 76.47°
Closest atoms and distances in Å follow each position.
Atoms (fractional coordinates):
Ba 0.1729 0.8271 0.7500  9 Ag 3.45-3.62
Ba 0.8271 0.1729 0.2500  9 Ag 3.45-3.62
Al 0.2969 0.2969 0.0000  6 Ag 2.66-2.81, 2 Al 2.79
Al 0.2969 0.2969 0.5000  6 Ag 2.66-2.81, 2 Al 2.79
Al 0.7031 0.7031 0.0000  6 Ag 2.66-2.81, 2 Al 2.79
Al 0.7031 0.7031 0.5000  6 Ag 2.66-2.81, 2 Al 2.79
Ag 0.0259 0.5781 0.2500  4 Al 2.66-2.81, 1 Ag 2.89
Ag 0.4219 0.9741 0.2500  4 Al 2.66-2.81, 1 Ag 2.89
Ag 0.4350 0.5650 0.2500  4 Al 2.73, 4 Ag 2.89-3.02
Ag 0.5650 0.4350 0.7500  4 Al 2.73, 4 Ag 2.89-3.02
Ag 0.5781 0.0259 0.7500  4 Al 2.66-2.81, 1 Ag 2.89
Ag 0.9741 0.4219 0.7500  4 Al 2.66-2.81, 1 Ag 2.89

***

Record 2
# BaAlAg2

A geometry-optimized BaAlAg2 structure (PBE-GGA, Alexandria via LeMat-Bulk).

Its crystal system is orthorhombic. The space group is Pnma.

a = 7.8856 Å, b = 4.7685 Å, c = 11.3310 Å
α = 90.00°, β = 90.00°, γ = 90.00°
Closest atoms and distances in Å follow each position.
Atoms (fractional coordinates):
Ba 0.1565 0.2500 0.1298  9 Ag 3.36-3.73, 1 Al 3.65
Ba 0.3435 0.7500 0.6298  9 Ag 3.36-3.73, 1 Al 3.65
Ba 0.6565 0.2500 0.3702  9 Ag 3.36-3.73, 1 Al 3.65
Ba 0.8435 0.7500 0.8702  9 Ag 3.36-3.73, 1 Al 3.65
Al 0.0249 0.7500 0.3963  5 Ag 2.64-2.73
Al 0.4751 0.2500 0.8963  5 Ag 2.64-2.73
Al 0.5249 0.7500 0.1037  5 Ag 2.64-2.73
Al 0.9751 0.2500 0.6037  5 Ag 2.64-2.73
Ag 0.1616 0.2500 0.8055  2 Al 2.68-2.72, 2 Ag 2.98
Ag 0.1896 0.2500 0.4251  3 Al 2.64-2.73
Ag 0.3104 0.7500 0.9251  3 Al 2.64-2.73
Ag 0.3384 0.7500 0.3055  2 Al 2.68-2.72, 2 Ag 2.98
Ag 0.6616 0.2500 0.6945  2 Al 2.68-2.72, 2 Ag 2.98
Ag 0.6896 0.2500 0.0749  3 Al 2.64-2.73
Ag 0.8104 0.7500 0.5749  3 Al 2.64-2.73
Ag 0.8384 0.7500 0.1945  2 Al 2.68-2.72, 2 Ag 2.98

***

Record 3
# BaAl6Ag12

A geometry-optimized BaAl6Ag12 structure (PBE-GGA, Alexandria via LeMat-Bulk).

Its crystal system is trigonal. The space group is R-3m.

a = 7.5231 Å, b = 7.5231 Å, c = 7.5231 Å
α = 104.34°, β = 104.34°, γ = 104.34°
Closest atoms and distances in Å follow each position.
Atoms (fractional coordinates):
Ba 0.0000 0.0000 0.0000  6 Ag 3.46
Al 0.2688 0.2688 0.6968  7 Ag 2.61-2.74
Al 0.2688 0.6968 0.2688  7 Ag 2.61-2.74
Al 0.3032 0.7312 0.7312  7 Ag 2.61-2.74
Al 0.6968 0.2688 0.2688  7 Ag 2.61-2.74
Al 0.7312 0.3032 0.7312  7 Ag 2.61-2.74
Al 0.7312 0.7312 0.3032  7 Ag 2.61-2.74
Ag 0.1176 0.5000 0.8824  4 Al 2.61-2.71, 3 Ag 2.79-2.91
Ag 0.1176 0.8824 0.5000  4 Al 2.61-2.71, 3 Ag 2.79-2.91
Ag 0.1450 0.4071 0.4071  3 Al 2.70-2.74, 2 Ag 2.91
Ag 0.4071 0.1450 0.4071  3 Al 2.70-2.74, 2 Ag 2.91
Ag 0.4071 0.4071 0.1450  3 Al 2.70-2.74, 2 Ag 2.91
Ag 0.5000 0.1176 0.8824  4 Al 2.61-2.71, 3 Ag 2.79-2.91
Ag 0.5000 0.8824 0.1176  4 Al 2.61-2.71, 3 Ag 2.79-2.91
+++
If there is something you need to do, or an important date approaching on your calendar, you can tell whether you are procrastinating on how you prioritize your time. Say the looming event is a final exam. Are you studying for it? Or, does it suddenly seem important that you sort through old clothing? If you are procrastinating, you will find other obligations easily.
Ask yourself if the lesser tasks would have the same amount of urgency if the thing you were trying to avoid were not taking place. It might seem like you suddenly need to organize all your closets, but would that be the first thing on your to-do list any other day? The more you focus on finding lesser tasks that take up your time, the more likely you are procrastinating.
You Have No Focus
Sometimes procrastination happens through distraction. Rather than thinking about what you are supposed to be doing, your mind wanders to all sorts of different places. If you can focus on just about anything else, except for the one thing you should be thinking about, you can be sure procrastination is getting the better of you.
You Find Excuses
Because procrastination often lies in trying to avoid something uncomfortable, finding excuses is a go-to strategy. Take a look at how you are thinking. Does it seem like you should not do something because it might hurt? Because you do not have everything, you need? Because there is too much time or effort required?
Excuses are a way to justify procrastination, but very rarely are they completely valid. A run to the store will get you what you need to finish the job and effective time management will make anything possible. If you can find more reasons not to do something, than you can find actually to get it done, you are procrastinating.
You Always Seem Short On Time
Sometimes we procrastinate without even knowing it. Procrastination and poor time management go hand in hand. If you find you always have to work quickly, need to keep working on something right until the very last minute, or make careless mistakes because you do not have enough time to check your work, it is likely procrastination is a problem for you.
You Are Afraid
Are you holding back on doing something because you are afraid of the outcome? Fear crops up for many reasons. Some people feel fear because they do not know what will happen next. Some are afraid of a worst-case scenario. On occasion, fear comes from having to let go of what is familiar or comfortable. When you think about why you do not want to do something, do your best to see if an underlying worry is a cause of your delay.
Stop Procrastinating Now
If procrastination is making your life more difficult, there are some ways to manage it. Start with these simple tips.
Organize Your Time
One of the most important things you can do to prevent procrastination is organizing your time. Purchase a calendar or day planner, and in it, schedule time to dedicate to whatever task is at hand. Do not forget, once an item is on your schedule you must complete it. Writing it down and walking away will not work.
Be sure to organize wisely. Do not over schedule yourself or make plans during times that are not realistic. For example, do not schedule study time at 6:35 if you do not leave work until 6:30. Leave time for daily tasks like eating, bathing, and relaxation too. If you forget to factor in everyday obligations you will throw off your entire schedule (leaving you open to more opportunity for procrastination).
Set A Timer
Many people find a timer helps them stay on track. If you have put off cleaning your house, simply set a timer for 10, 15, or 30-minute intervals throughout the day, and only work while the timer is running. Once the time is up, you can refocus on another task. With enough small increments, you will eventually get everything done.
An alarm is also a good tool in the same sense. If you find yourself often thinking you will get to something “later.” Make “later” a real time. Set an alarm clock for when you want to start working and as soon as it goes off, drop whatever you are doing and get started.
Get Motivated
Getting motivated is a sure way to avoid the trap of procrastination. When it comes to getting motivated, there are many resources you can use. Try motivational or self-help books, motivational quotes or videos, or empowering mantras.
Another way to find motivation is to change the way you think about the task you are trying to avoid. Instead of focusing on the reasons you do not want to do it, think about how you feel and what you will accomplish once it’s complete. Let the outcome be your motivation.
Avoid Distractions
When we want to avoid something, distractions are usually our first go-to. Do what you can to limit distraction in your area by turning off the tv, putting down the phone, or working in a quiet space. Let your friends and family members know you are dedicating a certain amount of time toward a task and politely ask them to wait to contact you until you’re done.
Get Help
A licensed therapist is also a great resource to overcome procrastination. Reach out to services, like those available through Betterhelp, to find a professional who can work with you. A therapist will get you to understand your thought and behavior patterns when it comes to procrastination, give you personalized advice to overcome it, and help you change your perspective on unwelcome tasks.
Deal With Fear
If fear is why you delay, find ways to confront it. Do what you can to find the root of your fear, process the memories and feelings associated with it, and find coping strategies that minimize its impact. This process is best done with a licensed mental health professional. The more you hide from your fears, the bigger they can become, so do not wait to address this issue.
Although “lazy” is a procrastination synonym, the two concepts do not necessarily mean the same thing. There might be more behind it. If procrastination is something that is affecting you, try these tips or reach out to a licensed professional today. The sooner you can tackle the issue, the faster your quality of work will improve. Do not let procrastination negatively impact your life anymore.